Five ways that you can support a friend who’s just been diagnosed with cancer

Has a friend or relative just been diagnosed with cancer? Here are five ways you can support them.

Whether malignant or benign, the diagnosis of cancer can be alarming, scary, and devastating news to a person. Even if benign, simply the word ‘cancer’ will send a course of thoughts racing through their head. For many it’s life-altering to be confronted with our mortality.

In many ways, supporting a friend who has been diagnosed with cancer can be similar to grief support. Depending on the severity of their diagnosis, patients will experience the 5 stages of grief, but in different ways unique to cancer patients.

In this article we’re going to share some tips on supporting a friend who has been diagnosed with cancer, some which are similar to grief support, and others unique to cancer patients.

Inserted here: records of crystals >
____________
The following is a GGA+U calculation of crystalline Li4MnCo2O7 at its relaxed geometry, from the Materials Project database.

Calculated values
Calculated total energy = -5.84 eV/atom
Energy of formation from the pure elements = -1.848 eV per atom
Polymorph energy (0 for the lowest one) = 35.5 meV/atom
E (MP2020) = -6.5377 eV/atom
SG = P1 (1)

```
Li4MnCo2O7
1.0
5.0769 0.0000 0.0000
-1.6515 5.6820 0.0000
-0.7666 -0.3560 8.7182
Li O Co Mn
8 14 4 2
direct
0.1489 0.7880 0.2808
0.8639 0.2190 0.7164
0.7034 0.9302 0.4174
0.2842 0.0740 0.5707
0.9935 0.4922 0.0044
0.5722 0.1439 0.1419
0.5782 0.6482 0.1463
0.4308 0.3525 0.8634
0.0113 0.2730 0.5038
0.7269 0.1574 0.9268
0.0086 0.7344 0.5146
0.8738 0.9708 0.2023
0.8623 0.4572 0.2306
0.4202 0.1248 0.3580
0.4203 0.5989 0.3692
0.2582 0.2998 0.0691
0.1338 0.0242 0.7964
0.2732 0.8288 0.0546
0.5527 0.8676 0.6478
0.1524 0.5499 0.7717
0.7336 0.6993 0.9241
0.5635 0.4146 0.6345
0.7155 0.4229 0.4169
0.4292 0.8625 0.8670
0.8569 0.7155 0.7137
0.1478 0.2734 0.2831
0.0000 0.0058 0.0021
0.2847 0.5710 0.5721
```

~~~~~

# La3Mo2O10

La3Mo2O10 after structural relaxation (GGA+U, the Materials Project database).

Properties
ΔE_f ... -44.3 eV per formula unit
____________
So much for the records of crystals >

1) Understand that the diagnosis is just the beginning of their journey

The diagnosis is only the first step in what can be a very difficult journey ahead for the patient. Depending on the stage and type of cancer, it could be easy to remove like oral cavity cancer, whereas treatment for leukemia could take several years of chemotherapy.

No doubt a person will be shook up about the diagnosis itself, and they may fear the treatment to come. Depictions of cancer patients in the media are not pretty, but it’s useful to know that popular media depicts cancer all wrong. As many cancer survivors have vocalised their experience, not all patients suffer doom, gloom, and bedridden agony.

Entry 1:
# Nd2CdAs2O, relaxed, DFT PBE
data_Nd2CdAs2O
_chemical_formula_sum 'Nd2 Cd1 As2 O1'
_cell_length_a 3.401
_cell_length_b 3.401
_cell_length_c 15.475
_cell_angle_alpha 90.00
_cell_angle_beta 90.00
_cell_angle_gamma 90.00
_symmetry_space_group_name_H-M 'P 4/m m m'
_symmetry_Int_Tables_number 123
_symmetry_space_group_name_Hall '-P 4 2'
loop_
_atom_site_label
_atom_site_type_symbol
_atom_site_fract_x
_atom_site_fract_y
_atom_site_fract_z
Nd1 Nd 0.000 0.000 0.136
Cd1 Cd 0.000 0.000 0.500
As1 As 0.000 0.000 0.336
O1 O 0.000 0.000 0.000
# total magnetization = 0.883 μB per cell
# E (MP2020) = -4.537 eV per atom
# volume = 179 Å³/f.u.


Entry 2:
# Sr2SO, relaxed, DFT PBE
data_Sr2SO
_chemical_formula_sum 'Sr2 S1 O1'
_cell_length_a 4.043
_cell_length_b 4.043
_cell_length_c 5.718
_cell_angle_alpha 90.00
_cell_angle_beta 90.00
_cell_angle_gamma 90.00
_symmetry_space_group_name_H-M 'P 4/m m m'
_symmetry_Int_Tables_number 123
_symmetry_space_group_name_Hall '-P 4 2'
loop_
_atom_site_label
_atom_site_type_symbol
_atom_site_fract_x
_atom_site_fract_y
_atom_site_fract_z
Sr1 Sr 0.000 0.000 0.000
Sr2 Sr 0.500 0.500 0.500
S1 S 0.000 0.000 0.500
O1 O 0.500 0.500 0.000
# total magnetization = 0.000 μB per cell
# E (MP2020) = -5.628 eV per atom
# volume = 93 Å³/f.u.


Entry 3:
# MgCdPd2, relaxed, DFT PBE
data_MgCdPd2
_chemical_formula_sum 'Mg4 Cd4 Pd8'
_cell_length_a 6.480
_cell_length_b 6.480
_cell_length_c 6.480
_cell_angle_alpha 90.00
_cell_angle_beta 90.00
_cell_angle_gamma 90.00
_symmetry_space_group_name_H-M 'F m -3 m'
_symmetry_Int_Tables_number 225
_symmetry_space_group_name_Hall '-F 4 2 3'
loop_
_atom_site_label
_atom_site_type_symbol
_atom_site_fract_x
_atom_site_fract_y
_atom_site_fract_z
Mg1 Mg 0.000 0.000 0.000
Cd1 Cd 0.000 0.000 0.500
Pd1 Pd 0.250 0.250 0.250
# E = -3.7956 eV per atom
# volume = 68 Å³/f.u.


Entry 4:
# PtPb, relaxed, DFT PBE
data_PtPb
_chemical_formula_sum 'Pt2 Pb2'
_cell_length_a 4.3877
_cell_length_b 4.3877
_cell_length_c 5.5793
_cell_angle_alpha 90.00
_cell_angle_beta 90.00
_cell_angle_gamma 120.00
_symmetry_space_group_name_H-M 'P 63/m m c'
_symmetry_Int_Tables_number 194
_symmetry_space_group_name_Hall '-P 6c 2c'
loop_
_atom_site_label
_atom_site_type_symbol
_atom_site_fract_x
_atom_site_fract_y
_atom_site_fract_z
Pt1 Pt 0.0000 0.0000 0.0000
Pb1 Pb 0.3333 0.6667 0.2500
# E = -5.1220 eV per atom
# volume = 47 Å³/f.u.


Entry 5:
# Ag7Te4, relaxed, DFT PBE
data_Ag7Te4
_chemical_formula_sum 'Ag35 Te20'
_cell_length_a 13.4110
_cell_length_b 13.4110
_cell_length_c 9.1987
_cell_angle_alpha 90.00
_cell_angle_beta 90.00
_cell_angle_gamma 120.00
_symmetry_space_group_name_H-M 'P 6/m m m'
_symmetry_Int_Tables_number 191
_symmetry_space_group_name_Hall '-P 6 2'
loop_
_atom_site_label
_atom_site_type_symbol
_atom_site_fract_x
_atom_site_fract_y
_atom_site_fract_z
Ag1 Ag 0.0000 0.0000 0.1454
Ag2 Ag 0.0000 0.5000 0.0000
Ag3 Ag 0.1224 0.2447 0.0000
Ag4 Ag 0.1254 0.4616 0.5000
Ag5 Ag 0.2540 0.5080 0.2351
Te1 Te 0.0000 0.2124 0.5000

2) Give them an emotional safe space

Supporting a friend or relative during these moments means creating a safe space for them to express themselves at their choosing. It’s nice to express solitude and support for your friend, but you should not crowd their space with constant reminders of your support. You may offer to accompany them to cancer supportive care, for example, but leave the offer on the table gently without pursuing them for a response.

They may prefer to spend time sitting alone with their thoughts, and when they open up those thoughts and feelings, they may express it terms that sound like an internal monologue.

For many, trying to express these abstract thoughts in conversation will prove difficult, hence their reluctance to open up. Try to imagine explaining the concept of color to a blind person, and see how impossible it is. However, they may feel more inclined to open up if you have relatable experience with grief or trauma to share.

However, make sure that your relatable experience is of direct proportion. Do not share the death of your cat as experiencing their situation, it simply does not scale.

3) Treat them the same as you did before their diagnosis

Offering them excessive sympathy will feel like a pity-parade to them, and can actually serve to shame them, as they may feel like a pariah.

(Misplaced records of crystals)
=====
(1)
VCrFe2 PBE optimized geometry; electronic total energy = -8.9469 eV per atom; total magnetization = 3.7 Bohr magnetons per cell; calculated volume = 47 Å³ per cell; ρ = 7.54 g/cm3
1.0
1.4649 -2.0013 0.0000
1.4649 2.0013 0.0000
0.0000 0.0000 8.0612
V Cr Fe
1 1 2
direct
0.0000 0.0000 0.0000
0.5000 0.5000 0.2572
0.0000 0.0000 0.5020
0.5000 0.5000 0.7468

---

(2)
YCr5Fe7 PBE optimized geometry; electronic total energy = -8.7431 eV per atom; total magnetization = 8.8 Bohr magnetons per cell; calculated volume = 163 Å³ per cell; ρ = 7.53 g/cm3
1.0
-2.3687 4.1361 4.1613
2.3687 -4.1361 4.1613
2.3687 4.1361 -4.1613
Y Cr Fe
1 5 7
direct
0.0000 0.0000 0.0000
0.3620 0.9942 0.3679
0.3637 0.3637 0.0000
0.6263 0.9942 0.6321
0.6284 0.6284 0.0000
0.7731 0.2731 0.5000
0.2191 0.7191 0.5000
0.2218 0.4966 0.7252
0.4978 0.4965 0.5026
0.4978 0.9953 0.0013
0.7713 0.4966 0.2748
0.9939 0.4965 0.9987
0.9939 0.9953 0.4974

---

(3)
Y2Cr2Fe15 PBE optimized geometry; electronic total energy = -8.3721 eV per atom; total magnetization = 53.1 Bohr magnetons per cell; calculated volume = 505 Å³ per cell; ρ = 7.36 g/cm3
1.0
8.3859 0.0000 0.0000
-4.1929 7.2624 0.0000
0.0000 0.0000 8.2984
Y Cr Fe
4 4 30
direct
0.0000 0.0000 0.2500
0.0000 0.0000 0.7500
0.3333 0.6667 0.2500
0.6667 0.3333 0.7500
0.3333 0.6667 0.6188
0.3333 0.6667 0.8812
0.6667 0.3333 0.1188
0.6667 0.3333 0.3812
0.0000 0.5000 0.0000
0.0000 0.5000 0.5000
0.0397 0.3697 0.7500
0.0397 0.6700 0.7500
0.1665 0.3330 0.0121
0.1665 0.3330 0.4879
0.1665 0.8335 0.0121
0.1665 0.8335 0.4879
0.3300 0.3697 0.7500
0.3300 0.9603 0.7500
0.3330 0.1665 0.5121
0.3330 0.1665 0.9879
0.3697 0.0397 0.2500
0.3697 0.3300 0.2500
0.5000 0.0000 0.0000
0.5000 0.0000 0.5000
0.5000 0.5000 0.0000
0.5000 0.5000 0.5000
0.6303 0.6700 0.7500
0.6303 0.9603 0.7500
0.6670 0.8335 0.0121
0.6670 0.8335 0.4879
0.6700 0.0397 0.2500
0.6700 0.6303 0.2500
0.8335 0.1665 0.5121
0.8335 0.1665 0.9879
0.8335 0.6670 0.5121
0.8335 0.6670 0.9879
0.9603 0.3300 0.2500
0.9603 0.6303 0.2500


No. 1
# Li5V3P8O29 GGA+U relaxed
data_Li5V3P8O29
_chemical_formula_sum 'Li10 V6 P16 O58'
_cell_length_a 9.758
_cell_length_b 9.767
_cell_length_c 14.116
_cell_angle_alpha 90.03
_cell_angle_beta 90.04
_cell_angle_gamma 119.53
_space_group_name_H-M_alt 'P 1'
_space_group_IT_number 1
loop_
_space_group_symop_operation_xyz
'x,y,z'
loop_
_atom_site_label
_atom_site_type_symbol
_atom_site_fract_x
_atom_site_fract_y
_atom_site_fract_z
Li1 Li 0.000 0.000 0.000
Li2 Li 0.001 0.862 0.500
Li3 Li 0.101 0.765 0.879
Li4 Li 0.230 0.757 0.381
Li5 Li 0.238 0.330 0.879
Li6 Li 0.351 0.137 0.435
Li7 Li 0.376 0.109 0.941
Li8 Li 0.429 0.430 0.499
Li9 Li 0.566 0.001 0.498
Li10 Li 0.668 0.193 0.879
V1 V 0.331 0.529 0.689
V2 V 0.333 0.661 0.184
V3 V 0.764 0.526 0.190
V4 V 0.766 0.095 0.688
V5 V 0.890 0.653 0.689
V6 V 0.897 0.096 0.193
P1 P 0.005 0.435 0.307
P2 P 0.017 0.867 0.281
P3 P 0.018 0.008 0.783
P4 P 0.104 0.781 0.098
P5 P 0.110 0.179 0.599
P6 P 0.243 0.317 0.097
P7 P 0.244 0.781 0.596
=====

Certain cultures can compound this problem, for example perpetuating hypermasculine traits that encourage men to be stoic and indifferent to emotions. Or portrays women as being hyper-emotional and fragile. In both cases, the expression of emotion is dismissed, shamed, or even ridiculed.

Thus the person may already be self-conscious about how people are perceiving and judging their grieving process, feeling pressured to start a countdown clock to their emotional recovery before their grief becomes a burden on society.

4) Be mindful of well-intentioned banality

Simply put, say nothing that would make them feel awkward, such as “when do you think you’ll feel normal again?” or, “someday you’ll get over it”. The person is very much experiencing the present, and does not need banal, cliche suggestions to quicken their timeline to recovery.

If it sounds like supporting a friend through these moments requires a bit of patience and careful handling on your part, it does. Statements like “I’m always here for you” can be well-intentioned, though made insincerely if you can’t follow through. In that case, the person may rather you didn’t make such offers, as they may also be fearful of exhausting you.

5) Remember these five golden rules

To summarise, here are five golden rules to remember:

  • Offer only what you are capable and willing to give.
  • Never assume their feelings unless you’ve been there.
  • Do not give them a countdown clock to recovery.
  • Let them choose when to share their experience.
  • Observe and listen, avoid offering meaningless platitudes.